
Spent 6.5 weeks in Ōsaka. Having had many things to do in mind and being aware of the limited amount of time, things felt a bit rushed at times. Nevertheless pleased with how the stay went in general and what I got done. :)
- Book hunt
After finishing 『九州は横浜のどこですか?』 on my Kindle last year, I struggled to really get into another book. Only my physical copy of 『日本語雑記帳』 found its way into my hands from time to time. I therefore went on somewhat of a book hunt this time and spent many hours in BOOKOFFs and a considerable amount of my short Tokyo trip in 神保町. What I ended up bringing home with me is:- 『世界の文字』 (done reading)
- 『日本語びいき』 (almost done reading)
- 『活版印刷三日月堂』 (half way through the first of the 4 books)
- 『ユニコード戦記』
- 『「舞姫」の主人公をバンカラとアフリカ人がボコボコにする最高の小説の世界が
明治に存在したので20万字くらいかけて紹介する本』 - 『文系と理系はなぜ分かれたのか』
- 『字幕屋に「、」はない』
- 『辞書編集、三十七年』
- 『印刷に恋して』
- 『教室内カースト』
- 『同時通訳はやめられない』
- 『鳩居堂の日本のしきたり豆知識』
- 『タイポさんぽ』
- 『ようこそ保健室へ』
- 『パッタを倒しにアフリカへ』
- 親指シフト
I made a conscious decision to switch from QUERTY to フリック入力 on my phone years ago in order to internalize thinking of the words I input as being made up of かな and not Latin alphabet characters. While in Ōsaka I found out about 親指シフト and ended up getting a cheap keyboard labelled accordingly for testing. Got it to work on my Ubuntu 18.04 system using oyainput. Time will tell whether or not I’ll have the frustration tolerance and endurance to make the switch. Will also have to test if a Votex CORE (the keyboard I’m using most of the time currently) can be programmed accordingly. - 漢字検定
Took the 漢検 5級 as well as 4級 and passed both. :)- arrived early and saw a parade of ちびっ子 streaming out of the building :3
- question sheets were basically huge (257×379 mm) 圧着ハガキ, resulting in quite the sound when a room full of people simultaneously opened them
- sitting next to me taking 4級 was a 9 year old D:
- Can recommend 大阪府立中之島図書館 to everyone in Ōsaka looking for a quiet space with air conditioning, power sockets and free wifi (registration required, was a bit buggy on PC but ended up working)
- Entered a Carcassonne tournament (カルカソンヌ日本選手権). Won 2 games and then was destroyed twice by more serious (nevertheless super nice) contestants.
- Visited people at 京大 and met again with colleagues at NII
- Attended 活版WEST
- Stayed at a 旅館
- Finally got to the end of うぶんちゅ! chapter 12 after translating the first few pages some time last year.
- Visited 遊舎工房 and got some keycaps
Materials data from another source follow.
+++
<P>
Compound: LiV3O4
Source: Materials Project
Functional: PBE+U
Structure: relaxed

## Properties
space group: P2/m
total magnetization: 10.0 μB/cell

abc: 5.2794 6.0960 5.2821
angles: 90.00 110.25 90.00
Last column: nearest neighbours and their distance in Å.
Positions (direct):
Li: 0.0000 0.0000 0.0000  6 O 2.16
Li: 0.5000 0.5000 0.5000  6 O 2.13-2.27
V: 0.0000 0.2469 0.5000  6 O 2.14-2.17
V: 0.0000 0.5000 0.0000  6 O 2.06-2.09
V: 0.0000 0.7531 0.5000  6 O 2.14-2.17
V: 0.5000 0.0000 0.5000  6 O 2.17-2.20
V: 0.5000 0.2459 0.0000  6 O 2.12-2.16
V: 0.5000 0.7541 0.0000  6 O 2.12-2.16
O: 0.2398 0.5000 0.7644  5 V 2.06-2.17, 1 Li 2.27
O: 0.2458 0.2583 0.2445  4 V 2.09-2.20, 2 Li 2.13-2.16
O: 0.2458 0.7417 0.2445  4 V 2.09-2.20, 2 Li 2.13-2.16
O: 0.2514 0.0000 0.7521  5 V 2.12-2.17, 1 Li 2.16
O: 0.7486 0.0000 0.2479  5 V 2.12-2.17, 1 Li 2.16
O: 0.7542 0.2583 0.7555  4 V 2.09-2.20, 2 Li 2.13-2.16
O: 0.7542 0.7417 0.7555  4 V 2.09-2.20, 2 Li 2.13-2.16
O: 0.7602 0.5000 0.2356  5 V 2.06-2.17, 1 Li 2.27

=====

<Q>
Compound: LiV3O4
Source: Materials Project
Functional: PBE+U
Structure: relaxed

## Properties
total magnetization: 0.0 μB/cell

abc: 4.3332 7.9089 5.2615
angles: 90.62 114.31 74.10
Last column: nearest neighbours and their distance in Å.
Positions (direct):
O: 0.3797 0.3666 0.1260  5 V 2.10-2.17, 1 Li 2.16
O: 0.9999 0.5000 0.5000  4 V 2.12-2.13, 2 Li 2.17
O: 0.7500 0.2500 0.7500  2 Li 2.13, 4 V 2.14-2.17
O: 0.2500 0.7500 0.2500  2 Li 2.13, 4 V 2.14-2.17
O: 0.6203 0.6334 0.8740  5 V 2.10-2.17, 1 Li 2.16
O: 0.8797 0.8666 0.6260  5 V 2.10-2.17, 1 Li 2.16
O: 0.5001 0.0000 0.0000  4 V 2.12-2.13, 2 Li 2.17
O: 0.1203 0.1334 0.3740  5 V 2.10-2.17, 1 Li 2.16
V: 0.7500 0.7500 0.2500  6 O 2.10-2.17
V: 0.6313 0.1177 0.3802  6 O 2.12-2.17
V: 0.8687 0.3823 0.1198  6 O 2.12-2.17
V: 0.2500 0.2500 0.7500  6 O 2.10-2.17
V: 0.3687 0.8823 0.6198  6 O 2.12-2.17
V: 0.1313 0.6177 0.8802  6 O 2.12-2.17
Li: 0.5000 0.5000 0.5000  6 O 2.13-2.17
Li: 0.0000 0.0000 0.0000  6 O 2.13-2.17

=====

Going by the computed energies, the most stable comes first: <Q>, <P>.

=====

<P>
Compound: Li4V2C4SO16
Source: Materials Project
Functional: PBE+U
Structure: relaxed

## Properties
space group: Fddd
total magnetization: 8.0 μB/cell

abc: 9.7481 9.6456 9.3107
angles: 61.86 60.76 57.38
Last column: nearest neighbours and their distance in Å.
Positions (direct):
Li: 0.0777 0.6723 0.0777  6 O 2.17-2.36
Li: 0.0791 0.6709 0.6709  4 O 2.14-2.21
Li: 0.3277 0.9223 0.3277  6 O 2.17-2.36
Li: 0.3291 0.9209 0.9209  4 O 2.14-2.21
Li: 0.6709 0.0791 0.0791  4 O 2.14-2.21
Li: 0.6723 0.0777 0.6723  6 O 2.17-2.36
Li: 0.9209 0.3291 0.3291  4 O 2.14-2.21
Li: 0.9223 0.3277 0.9223  6 O 2.17-2.36
V: 0.0000 0.5000 0.5000  6 O 2.02-2.09
V: 0.5000 0.0000 0.5000  6 O 2.02-2.09
V: 0.5000 0.5000 0.0000  6 O 2.02-2.09
V: 0.5000 0.5000 0.5000  6 O 2.02-2.09
C: 0.2634 0.6544 0.2955  3 O 1.29-1.30
C: 0.2867 0.2955 0.6544  3 O 1.29-1.30
C: 0.2955 0.2867 0.2634  3 O 1.29-1.30
C: 0.3456 0.7366 0.7133  3 O 1.29-1.30
+++
- Was able to eat at 丸香 and MENSHO again while in Tokyo
- Went to see 下赤阪の棚田, which ended up being a ride a train, then ride a bus, be the last person left in the bus, walk a bit, talk to the ground keeper of a school and be let through a few gates you’re not supposed to go through as an outsider, arrive and be the only person around type of trip—i.e. a diametric opposite to the sad state of over commercialized tourist destinations—i.e. awesome :)
- Saw a person poking out of a ticket machine for the first time. :’D
Location wise Ōsaka was nice to explore the Kansai region a bit, but didn’t quite click with me the way Tōkyō did. Guess with a bunch of disparate, rather niche interests, Tōkyō is hard to beat just because of its sheer size.